GAPSA – Provost Fellowship for Interdisciplinary Innovation
President Gutmann Leadership Award (PGLA)
Professional Student Travel Grant (DMD, EdD, JD, MD, MSE, MS)
Research Student Travel Grant (PhD, research AM/MS)
Application Cycles*
Applications must be submitted during the cycle in which the expense is incurred (for multi-day events, consider the final day of the event as the expense date). Travel dates must fall within the application funding cycle. Travel spanning two cycles should be submitted in the later cycle.
Fall Grants
Submission Deadline: October 10th
Period covered: August 15th - Dec 31st
Decision Date: November 20th
Spring Grants
Submission Deadline: March 10th
Period covered: January 1st - May 14th
Decision Date: April 20th
Summer Grants**
Submission Deadline: June 10th
Period covered: May 15th - August 14th
Decision Date: July 20th
* expenses for graduating students must be incurred and submitted at least 2 weeks (14 days) prior to the official end of term
** additional eligibility criteria and restrictions apply. Please review all instructions and program details carefully.
The GAPSA-Provost Fellowship for Interdisciplinary Innovation is a program jointly funded by GAPSA and the Office of the Provost for the expressed purpose of fostering an interdisciplinary graduate and professional environment at the University of Pennsylvania. This highly competitive fellowship strives to promote original, student-derived initiatives that integrate knowledge across diverse academic disciplines. The fellowship is also meant to help the project-leader(s) develop, pursue and complete their proposed interdisciplinary initiatives.
$6,000.00 fellowship per project
The GAPSA-Provost fellowship is being reworked and information will be posted about this shortly. Stay tuned.
The guidelines for this fellowship are available here. Please contact gapsa.provost@gapsa.upenn.edu for all questions regarding this fellowship.
The Office of the President has generously provided additional funding to GAPSA to augment GAPSA’s funding for graduate and professional student travel. The award will be given to students presenting their research at an international conference or event that would otherwise exceed their budget even with an individual travel grant through GAPSA.
The maximum award is 70% of the total budget or $2000, whichever is less.
Full award policies are available here. Please note that recommendations are required within one week of the application closing. In order for an application to be considered complete, you must indicate a faculty member to complete a brief recommendation form. It will be sent to your recommender automatically when your application is submitted. Please note that recommendation forms are sent out only after grant applications are submitted, so be sure to inform your recommender prior to submitting your application.
Please contact gapsa.evp@gapsa.upenn.edu for all questions regarding this fellowship.
If you are in a professional or non-research Master’s program (including DMD, EdD, JD, MD, MSE, and MS programs with other letters), you are considered a professional student. If you are in a PhD program or a research Master’s program (AM or MS), you are considered a research student. Students in dual degree (e.g., MD/PhD, VMD/PhD) programs are considered professional students during their professional degree years and research students during their PhD years. Please refer to this flowchart or email gapsa.funds@gapsa.upenn.edu if you are unsure about your status.
Please note that you are only eligible to receive one GAPSA-administered individual grant per semester.
Professional Student Individual Grants aim to defray the cost of qualified travel expenses for professional students attending and/or presenting at academic conferences, meetings, case competitions, externships, and internships. Students pursuing professional development outside of the university may also apply.
Funding caps are the lesser of 75% of your request or*:
- $500 if you are attending, but not presenting at a conference
- $1250 if you are presenting at a conference or requesting interview/internship funding
Calculated crystals that have nothing to do with the article:
********
(1)
Computed, not measured: a geometry-optimized Te8Ir3 structure at the PBE level of DFT.

```
Te8Ir3
1.0
-4.121 -4.897 -1.253
4.012 -2.036 -4.722
3.155 -3.647 4.391
Te Ir
8 3
Direct
0.368 0.368 0.368
0.123 0.370 0.868
0.877 0.630 0.132
0.370 0.868 0.123
0.132 0.877 0.630
0.868 0.123 0.370
0.630 0.132 0.877
0.632 0.632 0.632
0.500 0.500 0.000
0.500 0.000 0.500
0.000 0.500 0.500
```

Calculated values
crystal system: trigonal
space group: R-3


(2)
Computed, not measured: a geometry-optimized TbGePd structure at the PBE level of DFT.

```
TbGePd
1.0
-8.737 0.123 7.434
-11.418 -0.562 -0.957
10.912 -3.429 -0.890
Tb Pd Ge
6 6 6
Direct
0.201 0.666 0.535
0.869 0.334 0.535
0.952 0.500 0.452
0.291 0.833 0.458
0.535 0.000 0.535
0.626 0.167 0.458
0.432 0.266 0.166
0.931 0.104 0.827
0.899 0.734 0.166
0.252 0.428 0.824
0.723 0.896 0.827
0.395 0.572 0.824
0.561 0.406 0.155
0.601 0.765 0.836
0.090 0.935 0.155
0.220 0.065 0.155
0.071 0.235 0.836
0.750 0.594 0.155
```

Calculated values
crystal system: orthorhombic
space group: Imm2


(3)
Computed, not measured: a geometry-optimized CoNiSb2S2 structure at the PBE level of DFT.

```
CoNiSb2S2
1.0
5.885 0.000 0.000
0.000 5.876 0.000
0.000 0.016 5.882
S Ni Co Sb
4 2 2 4
Direct
0.378 0.384 0.126
0.878 0.616 0.874
0.618 0.125 0.633
0.118 0.875 0.367
0.479 0.022 0.271
0.979 0.978 0.729
0.020 0.519 0.230
0.520 0.481 0.770
0.134 0.373 0.617
0.370 0.864 0.880
0.870 0.136 0.120
0.634 0.627 0.383
```

Calculated values
crystal system: monoclinic
space group: P2_1


E (computed, eV/atom): -4.952; -5.798; -5.221
Ρ (computed, kg/m3): 9564; 9397; 6944


Computed, not measured: a relaxed Na10Hf6Mg2Si7S5O48 crystal at the GGA-PBE level of DFT.

* theoretical density: 3.81 Mg/m³
* formation energy: -2.88 eV/atom
* symmetry: No. 1

abc: 9.0691 15.6376 22.8397
angles: 89.97 89.97 89.99
Closest atoms and distances in Å follow each position.
Element x y z (fractional)
Na: 0.0000 0.0000 0.0000  4 O 2.34-2.61
Na: 0.0045 0.3687 0.0007  4 O 2.39-2.52
Na: 0.0142 0.0322 0.3354  5 O 2.40-2.64
Na: 0.0515 0.6766 0.0019  5 O 2.43-2.68
Na: 0.1911 0.8557 0.5852  6 O 2.52-2.76
Na: 0.1938 0.1927 0.2535  4 O 2.48-2.64
Na: 0.1960 0.5135 0.9167  6 O 2.51-2.71
Na: 0.2013 0.1846 0.7475  6 O 2.52-2.73
Na: 0.2005 0.8512 0.0838  6 O 2.48-2.70
Na: 0.2026 0.5131 0.4177  6 O 2.55-2.78
Na: 0.3180 0.6735 0.4959  5 O 2.38-2.63
Na: 0.3664 0.3717 0.4956  5 O 2.40-2.67
Na: 0.3720 0.6982 0.1648  4 O 2.42-2.50
Na: 0.3787 0.6746 0.8282  3 O 2.32-2.57
Na: 0.5144 0.1749 0.3286  3 O 2.32-2.58
Na: 0.5260 0.8744 0.0008  5 O 2.40-2.67
Na: 0.5555 0.8460 0.3287  4 O 2.38-2.63
Na: 0.5751 0.1732 0.9965  4 O 2.34-2.56
Na: 0.6834 0.0100 0.9191  5 O 2.43-2.70
Na: 0.6970 0.6913 0.7531  4 O 2.48-2.64
Na: 0.6998 0.0186 0.4172  6 O 2.45-2.74
Na: 0.7009 0.3543 0.0849  6 O 2.51-2.78
Na: 0.7020 0.6791 0.2483  6 O 2.48-2.72
Na: 0.7043 0.3438 0.5847  6 O 2.42-2.71
Na: 0.8377 0.1766 0.5035  5 O 2.44-2.68
Na: 0.8713 0.1698 0.8301  4 O 2.37-2.60
Na: 0.8718 0.5312 0.8345  5 O 2.41-2.65
********
All funding is granted retroactively; that is, you will have to incur the expenses first and then receive reimbursement upon submitting itemized receipts. Applications are not reviewed until after the grant window closes and exceptions cannot be made.
Sending a recommender application is not necessary, but it will help your application. Please note that recommendation forms are sent out only after grant applications are submitted. Be sure to inform your recommender prior to submitting your application. We ask that recommendations be submitted within two weeks of the submission of the travel grant application. It is your responsibility to ensure that the form is submitted on your behalf. Check with your recommender to make sure they submit the form on time.
Please contact gapsa.funds@gapsa.upenn.edu and gapsa.professional@gapsa.upenn.edu for all questions regarding this fellowship.
If you are in a PhD program or a research Master’s program (AM or MS), you are considered a research student. If you are in a professional or non-research Master’s program (including DMD, EdD, JD, MD, MSE, and MS programs with other letters), you are considered a professional student. Students in dual degree (e.g., MD/PhD, VMD/PhD) programs are considered professional students during their professional degree years and research students during their PhD years. Please refer to this flowchart or email gapsa.funds@gapsa.upenn.edu if you are unsure about your status.
Please note that you are only eligible to receive one GAPSA-administered individual grant per semester.
The Research Travel Grant aims to help defray the cost of qualified travel expenses for research students presenting their work at academic conferences, workshops, and meetings.
The Research Travel Grants serve as a terminal funding source to support research students traveling to their conferences.
Applicants are expected to have considered all other possible funding options before pursuing funding through a GAPSA travel grant.
Registered and Enrolled
Applicants must be enrolled in a degree-bearing graduate or professional degree program at the University of Pennsylvania.
Applicants must be actively enrolled and in good academic standing during the period covered by the grant.
Grants cannot be awarded for expenses occurring in periods following graduation or during academic terms in which applicants are not registered in course or research (thesis/dissertation) credits.
Applicants enrolled in post-baccalaureate programs are not eligible.
Applicants enrolled in accelerated/submatriculation degree programs who have not yet received their bachelor's degree are not eligible
Applicants must either attend or present their work at academic conferences, workshops, and meetings.
Research students
Applicants must be a Ph.D. student or a Research Master (M.A. or M.S. only, no additional letters following), primarily offered in SAS. Applicants in dual degree (e.g., M.D./Ph.D., VMD/Ph.D.) programs are only considered to be research students during their PhD years. The complete degree abbreviation can be found here. Please refer to this flowchart or contact gapsa.research@gapsa.upenn.edu if applicants are unsure about your status.
Travel dates must fall within the application funding cycle. Travel spanning two cycles should be submitted in the later cycle.
Fall: 8/15 - 12/31
Spring: 1/1 - 5/14
Summer: 5/15 - 8/14
1, 2, 3
One GAPSA individual grant award per cycle
Two GAPSA individual grant awards per academic year
Three thousand dollars total per year in combined grants, payments, and fungible items (tickets, merchandise) funded through the General Fee
For students only attending a conference, the grant is capped at 50% of the total cost or $1000, whichever is less. For students presenting at conferences, the cap is $2000.
The statistics for past applicants and awardees can be found here. Please note that the funding budgets, evaluation criteria and the application form have been updated over the years.
All funding is granted retroactively; that is, you will have to incur the expenses first and then receive reimbursement upon submitting itemized receipts. Applications are not reviewed until after the grant window closes and exceptions cannot be made. Research Council has also released a memorandum (last updated: July 2022) on how the grant is awarded.
We highly encourage applicants to read both documents before applying.
In order for an application to be considered complete, you must indicate a faculty member to complete a brief recommendation form. It will be sent to your recommender automatically when your application is submitted. Please note that recommendation forms are sent out only after grant applications are submitted. Be sure to inform your recommender prior to submitting your application. We ask that recommendations be submitted within five days of the submission of the travel grant application. It is your responsibility to ensure that the form is submitted on your behalf. Check with your recommender to make sure they submit the form on time.
Please contact gapsa.research@gapsa.upenn.edu for all questions regarding this fellowship.
The University and other bodies offer several individual grants to graduate and professional students. This ever-growing list is maintained by the Grad Center on their website. In particular, refer to the Emergency Grant for graduate and professional students.